[JUNE, 1917
containing an abridged prose translation of the was born at Jaura, in Mowar, and the mention of particular rásas, illustrated by the nctes mentioned this place, which is now in ruins, gives the Editor above, the second containing the poetical texts, and an opportunity for inserting an erudite note on the third containing lists of obsolete or difficult the remains, which he has explored. words occurring in the texts, with renderings in 4. Bhima Oopdi. Composed by a pupil of Kirti modern Gujaratt. The edition of the texts dous Sågara sari in Sanat 1742. A eulogy of Bhime not claim to be critical, it is merely a faithful copy Sáha, a pious Poravala of Agapura (near Dagars of the manuscripts, but as these are for the most pura), with special reference to a pilgrimage which part accurate, the absence of philological criticism he, in the function of sanghapati, made in is not much folt. The language of the râsas is Dhulevajt (Kesariyajt). Old Gujarati, and the works contained in the first 5. Khema Hardiya nd Rása. Composed by two fascicui, with which we are concorded, were Lakşmi Ratna in Samvat 1741. A legend of a composed between Samvat 1589 and 1741. setha, Khemd of Harald, who relieved the popula
Of course, it could not reasonably be expected tion of Câpanera during a terrible famine under the that all the works which form the subject of the reign of Muhammad Begard. Series should be equally important from the his- 6. Raya Candra Sari Guru Baramdaa. A small torical point of viow. The fact that the rasas poem in the form of a dialogue between Raya selected for publicution are defined as aitihasika Candra--the protagonist of the Rosa Ratna Rasa in the title given to the Series, does not mean any- mentioned above and his sister, who by deferibthing except that the personages describəd or mening to him the different beauties and pleasures tioned in them are historical. But the particulars obtaining in the twelve months of the year, tries to given of the life of those personages are not always dissuade him from his intention to take the dik d. 80. In most cases the account is fantastical and The second fasciculus is all dedicated to a single fuil of supernatural facts, miracles, etc., which may work, called the Yaiobhadradi Rdsa, composed by be believed by the devout Jain, but are mere rub-Lavanya Samayn in Samoat 1589. In the introbich to the critio. The rdsas contained in the first duction to the work (pp. 4-16), the Editor gives & fasciculus are six, and they deal with the subjects short biographical account of this Jain poet, who following:
was born at Ahmadabad in Samvat 1621, and of 1. Kocara Vyavahári Rása. Composed by his productions, which are all poetical works and Guna Vinaya in Samval 1687. It contains a legend not less than 30 in number. He was, of course, & concerning Kocars, & Viso Poravářs of Salakhang-monk, and his lay name, previous to his initiation pura (near Anahilapura Patana), who became lord was Lahd Raja. A valuable work of Lavanya of twelve villages and proclaimed the amari (pro Samays-the Vimala Prabandha-had already hibision of killing any animal) throughout this been brought to light by Mani Lala Bakora Bhat territory. The legend appears to be altogether of Surat (Sanwat 1970). The present work falls fantast,cal, but a Dobalaharo Sajana St of Kham- into three parts, or khandas, of which the two first bhata, who has a principal part in the legend, and contain the life of Khimargi and Balibhadra, two other Dosalahards of Delhi, who had in their ser- disciples of Yacobhadra Suri, and the third the life of vice a bard (yacaka) De Pája, are historical persons Yagobhadra Sari himself. Cougidering that Lavanya ages, as shown by the Editor in a noto.
A plane-wave DFT calculation with PBE was carried out for a relaxed Ho6GeAs2Se3 crystal.

Cell: 4.096 8.191 9.167 Å, 103.04 102.91 90.00°
Positions (direct):
1 Ho 0.669 0.576 0.338
2 As 0.833 0.666 0.666
3 Se 0.832 0.168 0.664
4 Ho 0.002 0.240 0.004
5 Se 0.168 0.832 0.336
6 Ho 0.998 0.760 0.996
7 As 0.167 0.334 0.334
8 Ge 0.500 0.000 0.000
9 Ho 0.331 0.424 0.662
10 Se 0.500 0.500 0.000
11 Ho 0.338 0.912 0.676
12 Ho 0.662 0.088 0.324

Results
As for the space group: C2/m, No. 12. The formation energy without anion corrections comes out at -1853 kJ/mol of formula units. The total energy is -71.04 eV for the cell shown. The total magnetic moment comes out at 0.00 μB per atom.

----------

No. 1
An optimized crystal structure of PrZr2V. Source: the Alexandria database, functional GGA-PBE.

Unit cell a=3.210 b=3.210 c=10.920 alpha=81.55 beta=81.55 gamma=60.00
Fractional positions:
Pr: 0.000 0.000 0.000
Zr: 0.101 0.101 0.698
Zr: 0.899 0.899 0.302
V: 0.500 0.500 0.500

Calculated values
Total magnetization (μB per atom): 0.280
D(E_F) (states/eV per cell): 5.8
Relative energy among the computed polymorphs (meV/atom): 213
DFT total energy (eV/f.u.): -29.33
ΔH_f (0 K) (meV/atom): 417

No. 2
An optimized crystal structure of Pr4W. Source: the Alexandria database, functional GGA-PBE.

Unit cell a=5.680 b=5.680 c=5.680 alpha=90.00 beta=90.00 gamma=90.00
Fractional positions:
Pr: 0.000 0.000 0.000
Pr: 0.500 0.000 0.500
Pr: 0.000 0.500 0.500
Pr: 0.500 0.500 0.000
W: 0.500 0.500 0.500

Calculated values
Total magnetization (μB per atom): 0.000
D(E_F) (states/eV per cell): 8.4
DFT total energy (eV/f.u.): -29.27
ΔH_f (0 K) (meV/atom): 560

No. 3
An optimized crystal structure of PrW4. Source: the Alexandria database, functional GGA-PBE.

Unit cell a=4.811 b=4.811 c=4.811 alpha=90.00 beta=90.00 gamma=90.00
Fractional positions:
Pr: 0.500 0.500 0.500
W: 0.000 0.000 0.000
W: 0.500 0.000 0.500
W: 0.000 0.500 0.500
W: 0.500 0.500 0.000

Calculated values
Total magnetization (μB per atom): 0.000
D(E_F) (states/eV per cell): 5.7
DFT total energy (eV/f.u.): -38.76
ΔH_f (0 K) (meV/atom): 3567

No. 4
An optimized crystal structure of PrY3. Source: the Alexandria database, functional GGA-PBE.

Unit cell a=3.688 b=6.339 c=6.824 alpha=117.68 beta=105.68 gamma=90.00
Fractional positions:
Pr: 0.000 0.997 0.000
Y: 0.248 0.583 0.497
Y: 0.500 0.500 0.000
Y: 0.752 0.086 0.503

Calculated values
Total magnetization (μB per atom): 0.000
D(E_F) (states/eV per cell): 7.3
Relative energy among the computed polymorphs (meV/atom): 2
DFT total energy (eV/f.u.): -24.12
ΔH_f (0 K) (meV/atom): 12

No. 5
An optimized crystal structure of PrY2. Source: the Alexandria database, functional GGA-PBE.

Unit cell a=3.623 b=3.623 c=8.093 alpha=102.93 beta=102.93 gamma=90.00
Fractional positions:
Pr: 0.000 0.000 0.000
Y: 0.668 0.668 0.336
Y: 0.332 0.332 0.664

Calculated values
Total magnetization (μB per atom): 0.000
D(E_F) (states/eV per cell): 4.5
Samaya wrote over 500 years after the time 2. Rasa Ratna Rasa, Composed by Jaya in which his protagonists lived-Yakobhadra died Candra Gani in Samvat 1654. It contains a biogra- Samoat 1029-, it is no wonder if his account is phical account of Raya Candra Sari, his predecessor inaccurate and altogether fantastical. In this Samara Cendra, and Samara Candra's predecessor respect the work has no value whatever, historiPariva Candra. The last mentioned Achary - cally. But there are many other rdgas in existence, who was the founder of a separate goocha-died in which, when brought to light, will be found to Samvat 1612, whilst Raya Candra took the dikoa better justify the title of aitihdeika which Vijaya in Sapat 1626. The fact that the rdea is almost Dharma Suri has given to his Rdes Sangraha. contemporary with the personages it describes, We know that the third fasciculus is already makes it particularly reliable and gives the account in the press, and let us express the hope that the & character of authenticity.
learned Jain Acharya may continue the publication 3. Sumati Sadhu Sari Vipihald. By Lavanya through many more fasciculi, and soon enable us Samaya (Samual-century 1500). A short biography to have a deeper and sufficient insight into this of Ratna Sokhara Suri's pupil Sumati Sadhu 80ri, interesting motion of the Jain literaturo. who lived in Samat 1494-1561. Sumati Sadh